LoL: The Best Opportunities for AI in Esports

I am convinced the next big revolution in esports is the data and Artificial Intelligence (AI) arms-race. Whoever hires the talent, invests in the systems and more importantly, gets the players and coaches buy-in, will find themselves flying ahead of the curve. Then the rest play catch-up.

Why am I so convinced? Because it’s already happened in traditional sport, and they managed it with barely any data. Gaming is spoilt for it. Every game we play creates gigabytes of the stuff. It’s just about finding the talent to build it.

Some Clarity about AI

Before we begin, a little clarification on what is meant by AI. I don’t want to spend any significant time discussing it, it’s a well covered topic. However, to be clear: I use it very much as a blanket term. I really mean any use of computation and data to answer a question. That question could be “is there a dog in this picture?” or “who will win this game?” — it’s all AI. If you’re still unsure, I recommend having a Google before going deeper.

The question I’m addressing today is: what are the biggest opportunities to apply AI to League of Legends esports?

Now, when I say “opportunities” it’s not as simple as “what delivers the most value”, but “what delivers the most value for time taken”. For instance, it’s plausible to create AI capable of playing and beating the best teams in the world — we know this because they did it in Dota. It would also be incredibly costly in both time and resource.

We want to strike the balance of value and cost. This is harder than it sounds as both sides of that equation are difficult to estimate.

However, I’ve been working on a handful of these problems over the last few years and so can give a reasonable estimate. From here, these are what I believe the most valuable AI projects would be for LoL esports — in order of value.

№1 Identifying Talent

The individual talent of players is still by far the biggest contributing factor to a teams performance. The gap between the best in the league and the worst is still outrageously large. This will close overtime as teams build more sophisticated systems for both identification and development. However, as it stands today being able to scout top talent is how an analyst can drive the most value.

So, how does AI get involved?

From what I’ve seen in the industry, a majority of the scouting relies on two systems: averages & the eye test. You’ll never replace the latter, once the field is narrowed you can demote data and rely on the experience of your team to decide.

To be clear, an “eye test” isn’t watching highlights or spectating a random solo queue game. It’s when you bring the players into scrims that the real work begins. Then it’s just as much ears as eyes. Communication, attitude & resilience are factors best observed by humans.

_Inserted here: molecular data_
Entry 1:
{
  "formula": "C17H24F6N3O8PRuS5",
  "method": "ωB97M-V/def2-TZVPD",
  "elements": ["Ru", "F", "C", "F", "F", "S", "O", "O", "N", "S", "O", "O", "C", "F", "F", "F", "C", "C", "O", "P", "O", "C", "C", "O", "C", "C", "H", "H", "H", "H", "H", "H", "H", "H", "H", "H", "H", "H", "H", "H", "H", "C", "O", "C", "S", "S", "H", "H", "H", "N", "C", "N", "C", "C", "C", "C", "C", "C", "S", "H", "H", "H", "H", "H", "H"],
  "positions_angstrom": [[-0.572, 0.016, 0.023], [-3.052, -2.354, 4.739], [-2.523, -2.338, 3.533], [-1.201, -2.526, 3.623], [-3.039, -3.325, 2.799], [-2.820, -0.720, 2.702], [-2.227, -0.962, 1.379], [-4.215, -0.461, 2.749], [-1.988, 0.253, 3.632], [-0.546, 0.757, 3.299], [0.133, -0.051, 2.265], [0.220, 1.116, 4.440], [-0.924, 2.365, 2.449], [-1.166, 3.361, 3.260], [-2.001, 2.180, 1.659], [0.100, 2.682, 1.638], [4.692, -2.305, -0.240], [3.209, -2.110, -0.055], [2.798, -1.008, -0.924], [1.703, 0.089, -0.683], [1.756, 0.769, -2.127], [1.247, 0.092, -3.316], [2.371, -0.134, -4.298], [2.314, 1.229, 0.201], [3.734, 1.560, 0.297], [4.267, 1.125, 1.638], [5.018, -3.200, 0.291], [5.251, -1.448, 0.141], [4.922, -2.422, -1.300], [2.960, -1.880, 0.982], [2.659, -2.992, -0.362], [0.475, 0.734, -3.735], [0.788, -0.853, -3.032], [2.790, 0.816, -4.632], [1.983, -0.670, -5.167], [3.164, -0.728, -3.842], [3.788, 2.640, 0.188], [4.272, 1.095, -0.528], [3.696, 1.594, 2.441], [5.312, 1.423, 1.728], [4.198, 0.041, 1.756], [-1.317, -5.070, 0.454], [-1.588, -4.033, -0.527], [-0.955, -2.903, -0.468], [0.228, -2.495, 0.636], [-1.316, -1.744, -1.645], [-2.153, -5.755, 0.391], [-1.248, -4.642, 1.451], [-0.385, -5.574, 0.206], [0.635, 3.246, -1.488], [-0.666, 2.975, -1.370], [-1.206, 1.774, -1.220], [-2.629, 1.864, -1.204], [-3.526, 0.808, -1.070], [-4.885, 1.075, -1.055], [-5.362, 2.376, -1.162], [-4.482, 3.435, -1.289], [-3.123, 3.159, -1.313], [-1.803, 4.287, -1.462], [1.303, 2.496, -1.500], [0.947, 4.199, -1.532], [-3.162, -0.201, -0.975], [-5.588, 0.256, -0.959], [-6.428, 2.560, -1.149], [-4.840, 4.456, -1.362]],
  "nbo_charge": [0.647, -0.284, 0.731, -0.315, -0.310, 2.265, -1.008, -0.864, -1.194, 2.262, -0.968, -0.861, 0.716, -0.274, -0.330, -0.320, -0.633, -0.056, -0.837, 2.084, -0.864, -0.066, -0.631, -0.842, -0.064, -0.632, 0.237, 0.215, 0.227, 0.191, 0.205, 0.201, 0.195, 0.222, 0.232, 0.219, 0.203, 0.193, 0.235, 0.235, 0.205, -0.269, -0.457, 0.067, 0.061, 0.105, 0.228, 0.215, 0.204, -0.766, 0.320, -0.601, 0.188, -0.258, -0.169, -0.197, -0.199, -0.236, 0.417, 0.435, 0.418, 0.229, 0.232, 0.233, 0.235],
  "de_lowest_kcal_mol": 0.0,
  "total_charge": 1,
  "spin_multiplicity": 2,
  "total_energy_ev": -121215.682,
  "gap_ev": [6.61, 6.76],
  "s_squared": 0.774
}

***

Entry 2:
{
  "formula": "C17H24FN2O5",
  "method": "ωB97M-V/def2-TZVPD",

However, how do we go from 30 potential players to 3, without needing to bring each one in for try-outs?

That’s where AI can help. The simple statistics take us so far, but they ignore so much of what makes a great player. Do we care more about a player having a great KDA? What about their Gold Difference? Or maybe it’s their objective control? How do we measure a champion pool and the impact it will have? There are just too many factors for our simple human brains to observe and determine on scale.

So, we can use AI. We can show it the statistical make-up of good players and say “find me more of these”. We can even look at the lower leagues or minor regions and use methods to adjust performance. How good does an LFL mid-laner need to be to compete in the LEC? This is the future of esports scouting and the game is on to see which organisations work that out first.

№2 Who Won Draft?

This is the real hot topic. Casters spend hours talking about it, teams spend days preparing for it and everyone else spends weeks debating it.

It’s also a considerable unknown. No one really knows how good a draft is because there isn’t a system in place to test it. Teams play the draft once and it’s unlikely we’ll see those exact same 10 champions enough times that patch to answer the question.

However, so far in my journey through esports I’ve been genuinely shocked by how rudimentary teams are in their approach to draft. In fact, I spent 6 months building a model to try and predict exactly how good they are at it and even then felt I was only scratching the surface.

I won’t dig into this now, as you may have noticed my last few articles have been slowly building towards my grand crescendo of “how to win draft” (join the mailing list to not miss it!).

All I will say is that this is a great place to work on AI. Why? Because it’s quite easy to test. Across the major regions there are 1000s of games played each year. You can either predict who will the game using draft, or you can’t. If you can, then you’re onto something. This allows you to test various techniques and features, each time evaluating it on how it performs out in the real world. Again, I’ll dedicate more time to this at a later date.

№3 Item Optimisation

"Is Collector a good item? Which boots are best? They built X here? What an idiot!"

This topic tends to boil blood. That means it’s worth solving.

Once again, AI is in a great spot. You have lots of games to look at, especially if you find a way of effectively using high-elo solo queue. The question is also fairly simple since there are only really going to be 2–3 reasonable options as to what to build next. That means the solution space is small. You can also somewhat test your technique, although it’s a bit more complex than drafting.

So why is it only 3rd in my list? Sounds like a winner.

Because the potential impact is not in the same league as the first two. Having good players play good Champions is still by far the most effective way of winning the game. Whether they build the 3rd best item or 1st cannot decide the result to the same degree. Eventually, as organisations begin to work out the substantial impact they can have from investing in AI, the gap between each of these opportunities closes. Until then, there’s a canyon between scouting/drafting and items.

№4 King of the Macro

There’s lots of decisions to be made throughout the game. Do we collapse on herald as 5? Shall we start Baron here? Is this drake worth dying for?

However, I put it last for a few reasons:

  • Each decision point is vastly different. It’s never as simple as “do we contest Herald”? That question relies on you knowing your relative strength, map position, vision control, late-game scaling, what the enemy team will likely get from it, etc…
  • It’s the hardest to translate from solo queue. Macro is just so vastly different in the professional scene.
  • Players and coaches have a good sense for it already. Don’t get me wrong, it’s far from perfect but still the AI would have to be incredibly sophisticated to surpass their intuition.
  • Even if you somehow created the ultimate AI to evaluate every situation and determine the right move, how do you even use it? You can’t take it in game with you. Maybe you could use it in a match-review and say “the AI would have done X here but you did Y”, but the situation was so nuance it’s unlikely you’ll be in the same position again in the near future.

Bonus Section

Outside of these four, there are a few things that I’ve heard AI be used for, such as:

  • Evaluating sleep/diet/exercise to optimise performance.
  • Tracking eye movement to test reaction speed.
  • Convert scrim recordings to data in order to extract very specific micro details about gameplay.

These are great, and exciting. However, they’re relatively difficult and esports has not hit the point where these sorts of highly specific techniques are worth doing yet. There’s just too much low hanging fruit (see: top 2 of this list). I spoke to someone in the field about this, specifically about sleep tracking, his response was something along the lines of:

"These expensive monitors are great, but I’d be happy if I could just get the players to get 8 hours sleep!”

I think that summarises it well. Start with the simple stuff. Once we’ve done that, we can start looking at tracking eyeballs and optimising exercise routines.